### Work order
Quote the block further down without altering anything.
### File
~~~
# 1
Compound: PmMnAl4
Source: the Alexandria database
Functional: PBE
Structure: relaxed

Cell lengths 4.0721, 6.9395, 7.7425 Å; angles 90.00, 90.00, 90.00 degrees
Last column: nearest neighbours and their distance in Å.
Positions (direct):
Pm 0.0000 0.6245 0.7500  1 Mn 2.98, 12 Al 3.10-3.31
Pm 0.0000 0.3755 0.2500  1 Mn 2.98, 12 Al 3.10-3.31
Al 0.0000 0.0000 0.0000  2 Mn 2.36
Al 0.5000 0.0378 0.2500  2 Mn 2.60, 6 Al 2.78-2.82
Al 0.5000 0.9622 0.7500  2 Mn 2.60, 6 Al 2.78-2.82
Al 0.0000 0.0000 0.5000  2 Mn 2.36
Al 0.5000 0.3070 0.5680  2 Mn 2.59, 3 Al 2.78-2.88
Al 0.5000 0.3070 0.9320  2 Mn 2.59, 3 Al 2.78-2.88
Al 0.5000 0.6930 0.4320  2 Mn 2.59, 3 Al 2.78-2.88
Al 0.5000 0.6930 0.0680  2 Mn 2.59, 3 Al 2.78-2.88
Mn 0.0000 0.1954 0.7500  8 Al 2.36-2.60
Mn 0.0000 0.8046 0.2500  8 Al 2.36-2.60

Output
Formation enthalpy at 0 K, meV/atom: -363

---

# 2
Compound: PmMnAl11
Source: the Alexandria database
Functional: PBE
Structure: relaxed

Cell lengths 5.2147, 7.1287, 6.8236 Å; angles 82.40, 67.54, 69.75 degrees
Last column: nearest neighbours and their distance in Å.
Positions (direct):
Al 0.2851 0.2297 0.2153  1 Mn 2.57, 6 Al 2.65-2.84
Al 0.0000 0.5000 0.0000  2 Mn 2.61, 8 Al 2.65-2.72
Al 0.5004 0.2297 0.7847  1 Mn 2.57, 6 Al 2.65-2.84
Al 0.0266 0.6368 0.3428  1 Mn 2.65, 6 Al 2.70-2.93
Al 0.5000 0.0000 0.5000  8 Al 2.61-2.87
Al 0.0000 0.0000 0.5000  8 Al 2.61-2.87
Al 0.4996 0.7703 0.2153  1 Mn 2.57, 6 Al 2.65-2.84
Al 0.9734 0.3632 0.6572  1 Mn 2.65, 6 Al 2.70-2.93
Al 0.3694 0.6368 0.6572  1 Mn 2.65, 6 Al 2.70-2.93
Al 0.6306 0.3632 0.3428  1 Mn 2.65, 6 Al 2.70-2.93
Al 0.7149 0.7703 0.7847  1 Mn 2.57, 6 Al 2.65-2.84
Pm 0.0000 0.0000 0.0000  18 Al 3.25-3.56, 2 Mn 3.62
Mn 0.5000 0.5000 0.0000  10 Al 2.57-2.65

Output
Formation enthalpy at 0 K, meV/atom: -187

* * * * *

Arrangement 1

PrNd3Al2 | PBE | relaxed

Lattice parameters (Å, degrees): 5.278 6.758 9.893 90.00 90.00 90.00
Fractional coordinates of all 12 atoms:
Nd 0.000 0.812 0.673
Nd 0.000 0.976 0.048
Nd 0.500 0.688 0.171
Nd 0.500 0.188 0.829
Nd 0.000 0.476 0.952
Nd 0.000 0.312 0.327
Al 0.000 0.791 0.351
Al 0.500 0.708 0.852
Al 0.500 0.208 0.148
Al 0.000 0.291 0.649
Pr 0.500 0.525 0.547
Pr 0.500 0.025 0.453

Output
- spin magnetization (μB per atom) = 0.000
- density of states at the Fermi level (states/eV per cell) = 12.63

***

Arrangement 2

PrNd3Al2 | PBE | relaxed

Lattice parameters (Å, degrees): 5.310 9.229 9.314 123.99 90.00 106.72
Fractional coordinates of all 12 atoms:
Al 0.521 0.042 0.888
Al 0.766 0.532 0.130
Al 0.479 0.958 0.112
Al 0.234 0.468 0.870
Nd 0.938 0.876 0.591
Nd 0.062 0.124 0.409
Nd 0.381 0.762 0.293
Nd 0.687 0.374 0.372
Nd 0.313 0.626 0.628
Nd 0.619 0.238 0.707
Pr 0.129 0.259 0.073
Pr 0.871 0.741 0.927

Output
- spin magnetization (μB per atom) = 0.000
- density of states at the Fermi level (states/eV per cell) = 11.65

***

arrangement 1 is favored, and the nearest alternative lies 80 meV/atom above it.

***

Arrangement 1

PrNd2Al6 | PBE | relaxed

Lattice parameters (Å, degrees): 3.798 7.957 7.957 120.00 90.00 90.00
Fractional coordinates of all 9 atoms:
Nd 0.000 0.667 0.333
Nd 0.000 0.333 0.667
Al 0.500 0.334 0.000
Al 0.500 0.334 0.334
Al 0.500 0.666 0.000
Al 0.500 0.000 0.334
Al 0.500 0.000 0.666
Al 0.500 0.666 0.666
Pr 0.000 0.000 0.000

Output
- spin magnetization (μB per atom) = 0.000
- density of states at the Fermi level (states/eV per cell) = 5.43

***

Arrangement 2

PrNd2Al6 | PBE | relaxed

Lattice parameters (Å, degrees): 4.513 8.071 8.071 54.44 73.76 73.76
Fractional coordinates of all 9 atoms:
Al 0.818 0.491 0.874
Al 0.182 0.126 0.509
Al 0.000 0.815 0.185
Al 0.182 0.509 0.126
Al 0.000 0.185 0.815
Al 0.818 0.874 0.491
Nd 0.374 0.126 0.126
Nd 0.626 0.874 0.874
Pr 0.500 0.500 0.500

Output
- spin magnetization (μB per atom) = 0.000
- density of states at the Fermi level (states/eV per cell) = 5.04

***

arrangement 1 is favored, and the nearest alternative lies 250 meV/atom above it.

***

Arrangement 1

Pr2NdAl | PBE | relaxed
~~~
### Written answer
# 1
Compound: PmMnAl4
Source: the Alexandria database
Functional: PBE
Structure: relaxed

Cell lengths 4.0721, 6.9395, 7.7425 Å; angles 90.00, 90.00, 90.00 degrees
Last column: nearest neighbours and their distance in Å.
Positions (direct):
Pm 0.0000 0.6245 0.7500  1 Mn 2.98, 12 Al 3.10-3.31
Pm 0.0000 0.3755 0.2500  1 Mn 2.98, 12 Al 3.10-3.31
Al 0.0000 0.0000 0.0000  2 Mn 2.36
Al 0.5000 0.0378 0.2500  2 Mn 2.60, 6 Al 2.78-2.82
Al 0.5000 0.9622 0.7500  2 Mn 2.60, 6 Al 2.78-2.82
Al 0.0000 0.0000 0.5000  2 Mn 2.36
Al 0.5000 0.3070 0.5680  2 Mn 2.59, 3 Al 2.78-2.88
Al 0.5000 0.3070 0.9320  2 Mn 2.59, 3 Al 2.78-2.88
Al 0.5000 0.6930 0.4320  2 Mn 2.59, 3 Al 2.78-2.88
Al 0.5000 0.6930 0.0680  2 Mn 2.59, 3 Al 2.78-2.88
Mn 0.0000 0.1954 0.7500  8 Al 2.36-2.60
Mn 0.0000 0.8046 0.2500  8 Al 2.36-2.60

Output
Formation enthalpy at 0 K, meV/atom: -363

---

# 2
Compound: PmMnAl11
Source: the Alexandria database
Functional: PBE
Structure: relaxed

Cell lengths 5.2147, 7.1287, 6.8236 Å; angles 82.40, 67.54, 69.75 degrees
Last column: nearest neighbours and their distance in Å.
Positions (direct):
Al 0.2851 0.2297 0.2153  1 Mn 2.57, 6 Al 2.65-2.84
Al 0.0000 0.5000 0.0000  2 Mn 2.61, 8 Al 2.65-2.72
Al 0.5004 0.2297 0.7847  1 Mn 2.57, 6 Al 2.65-2.84
Al 0.0266 0.6368 0.3428  1 Mn 2.65, 6 Al 2.70-2.93
Al 0.5000 0.0000 0.5000  8 Al 2.61-2.87
Al 0.0000 0.0000 0.5000  8 Al 2.61-2.87
Al 0.4996 0.7703 0.2153  1 Mn 2.57, 6 Al 2.65-2.84
Al 0.9734 0.3632 0.6572  1 Mn 2.65, 6 Al 2.70-2.93
Al 0.3694 0.6368 0.6572  1 Mn 2.65, 6 Al 2.70-2.93
Al 0.6306 0.3632 0.3428  1 Mn 2.65, 6 Al 2.70-2.93
Al 0.7149 0.7703 0.7847  1 Mn 2.57, 6 Al 2.65-2.84
Pm 0.0000 0.0000 0.0000  18 Al 3.25-3.56, 2 Mn 3.62
Mn 0.5000 0.5000 0.0000  10 Al 2.57-2.65

Output
Formation enthalpy at 0 K, meV/atom: -187

* * * * *

Arrangement 1

PrNd3Al2 | PBE | relaxed

Lattice parameters (Å, degrees): 5.278 6.758 9.893 90.00 90.00 90.00
Fractional coordinates of all 12 atoms:
Nd 0.000 0.812 0.673
Nd 0.000 0.976 0.048
Nd 0.500 0.688 0.171
Nd 0.500 0.188 0.829
Nd 0.000 0.476 0.952
Nd 0.000 0.312 0.327
Al 0.000 0.791 0.351
Al 0.500 0.708 0.852
Al 0.500 0.208 0.148
Al 0.000 0.291 0.649
Pr 0.500 0.525 0.547
Pr 0.500 0.025 0.453

Output
- spin magnetization (μB per atom) = 0.000
- density of states at the Fermi level (states/eV per cell) = 12.63

***

Arrangement 2

PrNd3Al2 | PBE | relaxed

Lattice parameters (Å, degrees): 5.310 9.229 9.314 123.99 90.00 106.72
Fractional coordinates of all 12 atoms:
Al 0.521 0.042 0.888
Al 0.766 0.532 0.130
Al 0.479 0.958 0.112
Al 0.234 0.468 0.870
Nd 0.938 0.876 0.591
Nd 0.062 0.124 0.409
Nd 0.381 0.762 0.293
Nd 0.687 0.374 0.372
Nd 0.313 0.626 0.628
Nd 0.619 0.238 0.707
Pr 0.129 0.259 0.073
Pr 0.871 0.741 0.927

Output
- spin magnetization (μB per atom) = 0.000
- density of states at the Fermi level (states/eV per cell) = 11.65

***

arrangement 1 is favored, and the nearest alternative lies 80 meV/atom above it.

***

Arrangement 1

PrNd2Al6 | PBE | relaxed

Lattice parameters (Å, degrees): 3.798 7.957 7.957 120.00 90.00 90.00
Fractional coordinates of all 9 atoms:
Nd 0.000 0.667 0.333
Nd 0.000 0.333 0.667
Al 0.500 0.334 0.000
Al 0.500 0.334 0.334
Al 0.500 0.666 0.000
Al 0.500 0.000 0.334
Al 0.500 0.000 0.666
Al 0.500 0.666 0.666
Pr 0.000 0.000 0.000

Output
- spin magnetization (μB per atom) = 0.000
- density of states at the Fermi level (states/eV per cell) = 5.43

***

Arrangement 2

PrNd2Al6 | PBE | relaxed

Lattice parameters (Å, degrees): 4.513 8.071 8.071 54.44 73.76 73.76
Fractional coordinates of all 9 atoms:
Al 0.818 0.491 0.874
Al 0.182 0.126 0.509
Al 0.000 0.815 0.185
Al 0.182 0.509 0.126
Al 0.000 0.185 0.815
Al 0.818 0.874 0.491
Nd 0.374 0.126 0.126
Nd 0.626 0.874 0.874
Pr 0.500 0.500 0.500

Output
- spin magnetization (μB per atom) = 0.000
- density of states at the Fermi level (states/eV per cell) = 5.04

***

arrangement 1 is favored, and the nearest alternative lies 250 meV/atom above it.

***

Arrangement 1

Pr2NdAl | PBE | relaxed